Restate the material underneath unchanged, please.
44
Properties=species:S:1:pos:R:3:forces:R:3:mulliken_charge:R:1 method="wB97M-V/def2-TZVPD" de_lowest_kcal_mol=442.46 e_homo_ev=-7.18 e_lumo_ha=0.0152 total_charge=0 e_tot_ev=-29027.6744
C -3.58753 -2.08512 1.69630 -0.45 0.31 -1.76 -0.93
O -2.75284 -0.89771 1.09706 -2.49 -2.89 2.33 -0.37
C -3.50691 -0.08348 0.35567 -2.79 0.53 -1.85 0.68
C -4.91466 -0.17592 0.06298 -0.94 -0.92 5.05 -0.36
C -5.57754 0.94936 -0.44728 6.37 -3.20 0.85 -0.76
C -4.83066 1.90782 -0.88076 2.34 9.29 -6.03 -0.39
C -3.38752 2.00302 -1.02060 -2.58 -3.44 3.29 -0.70
C -2.81293 0.96993 -0.29888 3.59 -1.45 0.47 0.45
C -1.27099 0.84831 -0.08846 -4.06 3.46 0.32 0.22
C -0.50099 2.15287 0.21136 2.67 -12.94 -3.52 -0.55
N 0.72200 1.67324 0.14447 2.83 0.44 0.71 -0.82
N 0.84966 0.07941 -0.10837 -9.47 12.03 1.93 -0.01
C 1.92548 -0.48745 -0.02787 2.17 -9.62 -2.95 1.30
N 3.10158 -0.02991 0.26064 1.71 -7.85 -10.36 0.58
C 4.32476 -0.71625 -0.46325 -6.19 -8.32 8.64 -0.59
C 5.45343 -0.15468 -0.74167 1.33 14.43 -2.94 -1.00
O 5.67882 1.00944 0.28857 3.97 -3.22 -0.81 -0.43
C 4.65504 1.79957 0.50870 -3.27 2.11 -2.75 -0.72
C 3.44552 0.97509 0.88006 2.49 8.78 12.18 -0.50
C 1.60401 -1.91203 -0.49277 -0.08 4.80 2.37 -1.72
C 0.21786 -2.33268 -0.48158 13.53 -4.51 -2.78 1.35
C 0.09664 -3.61887 -1.01561 -10.23 -2.74 11.57 -1.77
N -0.68993 -1.63794 -0.48636 -13.13 11.37 1.87 -0.23
C -0.50682 -0.26832 -0.13130 1.62 -2.38 -1.81 -0.18
H -3.98033 -2.64122 0.79918 -0.05 0.95 0.68 0.38
H -4.48222 -1.82439 2.38533 1.91 0.10 -1.14 0.31
H -2.95375 -2.87668 2.11264 0.50 1.10 0.41 0.31
H -5.71369 -0.68445 0.88598 2.61 0.39 -2.59 0.07
H -6.51577 0.98188 -0.45632 -7.61 0.29 -0.10 0.71
H -5.31219 2.97436 -1.50023 0.79 -3.35 2.14 0.05
H -2.76109 2.79037 -1.32344 0.08 1.03 -0.84 0.52
H -0.69309 3.00171 0.63737 -1.30 5.05 1.72 0.69
H 4.17077 -1.58580 -1.01102 -1.59 -0.90 -1.77 0.52
H 4.70687 -1.41221 0.50218 -0.98 1.18 -1.34 0.35
H 6.39576 -0.38097 -0.92783 3.68 -2.65 -0.65 0.41
H 5.16517 0.67690 -1.65799 1.03 -2.03 1.28 0.25
H 4.94329 2.70660 1.10749 -0.56 -1.35 0.09 0.33
H 4.25364 2.26344 -0.48433 0.84 -0.15 0.69 0.31
H 2.62465 1.66451 1.16036 0.40 -0.56 -0.37 0.34
H 3.76798 0.44686 1.94890 -0.18 1.80 -1.03 0.31
H 2.38996 -2.52035 -0.34542 2.26 -2.61 0.29 0.42
H 0.48064 -3.96382 -1.74852 5.88 -3.87 -9.03 0.71
H -1.12402 -3.85008 -1.18273 3.06 0.79 0.29 0.22
H 0.20956 -4.29010 0.00274 0.29 0.74 -2.70 0.24

* * * * *

No. 1
ORCA calculation (ωB97M-V/def2-TZVPD) on a structure of composition C22H24F6N5PPt in a non-equilibrium geometry.

```
! wB97M-V def2-TZVPD RIJCOSX def2/J DEFGRID3
* xyz 3 2
C 1.0978 1.9509 2.7269
H -1.2248 -2.0781 0.2535
H -1.1447 -1.6282 -4.0311
C 0.1509 0.3364 0.7098
H 1.8484 3.1800 1.1128
Pt 0.7114 2.1496 -1.3907
F -0.3149 5.4816 -3.9983
C -0.2446 -0.1032 -2.8848
H 0.6264 -1.2682 5.7797
C -2.3244 -3.7397 -3.4695
H -2.9489 -3.0182 -3.9999
C 3.7483 1.7927 -2.2158
N 0.8561 1.4757 0.4445
C 5.9075 2.8275 -2.5164
C -1.3080 -2.0443 -1.9100
C 1.3050 2.2880 1.4084
H -1.9020 1.2175 4.5342
F -0.5534 5.0877 -1.5333
H -4.0358 -2.3975 -1.7656
H -1.7765 -5.3867 -1.4305
C 5.5247 0.4461 -3.1142
H -1.1345 -4.2627 -0.2442
H 0.4456 1.0634 6.5040
C -3.4243 -3.1652 -1.2898
C -1.4018 0.2616 4.6950
C -0.9224 -1.2929 -3.0280
F 0.6340 3.6728 -2.7413
C 0.3969 0.7881 3.0731
P -0.9208 4.6068 -2.9418
H 1.8642 -0.9453 4.5634
F -2.3525 5.1360 -2.8558
H -2.8598 -4.6878 -3.4783
C 0.6809 1.4042 5.4969
C -0.2842 -0.3502 -0.5147
H -3.9653 -4.1094 -1.3388
C -1.2500 -4.4402 -1.3142
H 1.7672 1.4949 5.4348
H -1.5941 -0.0543 5.7195
C 0.1228 0.3872 4.5033
C -0.0645 -0.0196 2.0134
H 0.0676 0.5009 -3.7298
F -1.0858 2.5242 -0.9539
C -2.0750 -3.3410 -2.0162
N 6.5793 3.7647 -2.4155
H -1.8519 -0.4811 4.0347
H 0.2301 2.3918 5.3819
C 0.7884 -0.9853 4.7403
N 5.8423 -0.6042 -3.4802
H 0.3624 -1.7724 4.1163
C 5.0968 1.6920 -2.6325
H 1.4897 2.6125 3.4862
H -0.6100 -0.9296 2.2232
C -0.9575 -1.5349 -0.6429
H -0.2593 -4.5467 -1.7589
F -1.3735 3.2573 -3.5267
H -1.3961 -3.8888 -4.0249
N 0.0670 0.3190 -1.6541
H -3.3034 -2.9093 -0.2360
44
Properties=species:S:1:pos:R:3:forces:R:3:mulliken_charge:R:1 method="wB97M-V/def2-TZVPD" de_lowest_kcal_mol=442.46 e_homo_ev=-7.18 e_lumo_ha=0.0152 total_charge=0 e_tot_ev=-29027.6744
C -3.58753 -2.08512 1.69630 -0.45 0.31 -1.76 -0.93
O -2.75284 -0.89771 1.09706 -2.49 -2.89 2.33 -0.37
C -3.50691 -0.08348 0.35567 -2.79 0.53 -1.85 0.68
C -4.91466 -0.17592 0.06298 -0.94 -0.92 5.05 -0.36
C -5.57754 0.94936 -0.44728 6.37 -3.20 0.85 -0.76
C -4.83066 1.90782 -0.88076 2.34 9.29 -6.03 -0.39
C -3.38752 2.00302 -1.02060 -2.58 -3.44 3.29 -0.70
C -2.81293 0.96993 -0.29888 3.59 -1.45 0.47 0.45
C -1.27099 0.84831 -0.08846 -4.06 3.46 0.32 0.22
C -0.50099 2.15287 0.21136 2.67 -12.94 -3.52 -0.55
N 0.72200 1.67324 0.14447 2.83 0.44 0.71 -0.82
N 0.84966 0.07941 -0.10837 -9.47 12.03 1.93 -0.01
C 1.92548 -0.48745 -0.02787 2.17 -9.62 -2.95 1.30
N 3.10158 -0.02991 0.26064 1.71 -7.85 -10.36 0.58
C 4.32476 -0.71625 -0.46325 -6.19 -8.32 8.64 -0.59
C 5.45343 -0.15468 -0.74167 1.33 14.43 -2.94 -1.00
O 5.67882 1.00944 0.28857 3.97 -3.22 -0.81 -0.43
C 4.65504 1.79957 0.50870 -3.27 2.11 -2.75 -0.72
C 3.44552 0.97509 0.88006 2.49 8.78 12.18 -0.50
C 1.60401 -1.91203 -0.49277 -0.08 4.80 2.37 -1.72
C 0.21786 -2.33268 -0.48158 13.53 -4.51 -2.78 1.35
C 0.09664 -3.61887 -1.01561 -10.23 -2.74 11.57 -1.77
N -0.68993 -1.63794 -0.48636 -13.13 11.37 1.87 -0.23
C -0.50682 -0.26832 -0.13130 1.62 -2.38 -1.81 -0.18
H -3.98033 -2.64122 0.79918 -0.05 0.95 0.68 0.38
H -4.48222 -1.82439 2.38533 1.91 0.10 -1.14 0.31
H -2.95375 -2.87668 2.11264 0.50 1.10 0.41 0.31
H -5.71369 -0.68445 0.88598 2.61 0.39 -2.59 0.07
H -6.51577 0.98188 -0.45632 -7.61 0.29 -0.10 0.71
H -5.31219 2.97436 -1.50023 0.79 -3.35 2.14 0.05
H -2.76109 2.79037 -1.32344 0.08 1.03 -0.84 0.52
H -0.69309 3.00171 0.63737 -1.30 5.05 1.72 0.69
H 4.17077 -1.58580 -1.01102 -1.59 -0.90 -1.77 0.52
H 4.70687 -1.41221 0.50218 -0.98 1.18 -1.34 0.35
H 6.39576 -0.38097 -0.92783 3.68 -2.65 -0.65 0.41
H 5.16517 0.67690 -1.65799 1.03 -2.03 1.28 0.25
H 4.94329 2.70660 1.10749 -0.56 -1.35 0.09 0.33
H 4.25364 2.26344 -0.48433 0.84 -0.15 0.69 0.31
H 2.62465 1.66451 1.16036 0.40 -0.56 -0.37 0.34
H 3.76798 0.44686 1.94890 -0.18 1.80 -1.03 0.31
H 2.38996 -2.52035 -0.34542 2.26 -2.61 0.29 0.42
H 0.48064 -3.96382 -1.74852 5.88 -3.87 -9.03 0.71
H -1.12402 -3.85008 -1.18273 3.06 0.79 0.29 0.22
H 0.20956 -4.29010 0.00274 0.29 0.74 -2.70 0.24

* * * * *

No. 1
ORCA calculation (ωB97M-V/def2-TZVPD) on a structure of composition C22H24F6N5PPt in a non-equilibrium geometry.

```
! wB97M-V def2-TZVPD RIJCOSX def2/J DEFGRID3
* xyz 3 2
C 1.0978 1.9509 2.7269
H -1.2248 -2.0781 0.2535
H -1.1447 -1.6282 -4.0311
C 0.1509 0.3364 0.7098
H 1.8484 3.1800 1.1128
Pt 0.7114 2.1496 -1.3907
F -0.3149 5.4816 -3.9983
C -0.2446 -0.1032 -2.8848
H 0.6264 -1.2682 5.7797
C -2.3244 -3.7397 -3.4695
H -2.9489 -3.0182 -3.9999
C 3.7483 1.7927 -2.2158
N 0.8561 1.4757 0.4445
C 5.9075 2.8275 -2.5164
C -1.3080 -2.0443 -1.9100
C 1.3050 2.2880 1.4084
H -1.9020 1.2175 4.5342
F -0.5534 5.0877 -1.5333
H -4.0358 -2.3975 -1.7656
H -1.7765 -5.3867 -1.4305
C 5.5247 0.4461 -3.1142
H -1.1345 -4.2627 -0.2442
H 0.4456 1.0634 6.5040
C -3.4243 -3.1652 -1.2898
C -1.4018 0.2616 4.6950
C -0.9224 -1.2929 -3.0280
F 0.6340 3.6728 -2.7413
C 0.3969 0.7881 3.0731
P -0.9208 4.6068 -2.9418
H 1.8642 -0.9453 4.5634
F -2.3525 5.1360 -2.8558
H -2.8598 -4.6878 -3.4783
C 0.6809 1.4042 5.4969
C -0.2842 -0.3502 -0.5147
H -3.9653 -4.1094 -1.3388
C -1.2500 -4.4402 -1.3142
H 1.7672 1.4949 5.4348
H -1.5941 -0.0543 5.7195
C 0.1228 0.3872 4.5033
C -0.0645 -0.0196 2.0134
H 0.0676 0.5009 -3.7298
F -1.0858 2.5242 -0.9539
C -2.0750 -3.3410 -2.0162
N 6.5793 3.7647 -2.4155
H -1.8519 -0.4811 4.0347
H 0.2301 2.3918 5.3819
C 0.7884 -0.9853 4.7403
N 5.8423 -0.6042 -3.4802
H 0.3624 -1.7724 4.1163
C 5.0968 1.6920 -2.6325
H 1.4897 2.6125 3.4862
H -0.6100 -0.9296 2.2232
C -0.9575 -1.5349 -0.6429
H -0.2593 -4.5467 -1.7589
F -1.3735 3.2573 -3.5267
H -1.3961 -3.8888 -4.0249
N 0.0670 0.3190 -1.6541
H -3.3034 -2.9093 -0.2360